Supremacy 1
Text File
205 lines
Still waiting for the space equivalent of
Dungeon Master ?
Why not try
Bio Hazard Demo V1.8
Copyright L.J.Greenhalgh. 1993
Auto Boots
Note: Needs at least 1 mbyte ST/Mega ST/STE/Mega STE/TT to run.
Note: It is not my fault if anything goes wrong with your
ST whilst running this program.
This demo is Shareware so feel free to distribute it but
remember to include all the files.
Programs Used in writing Bio-Hazard
Stos V2.6,Stos Compiler V2.7,Stos Maestro Catridge
Degas Elite (Still the best art package on the ST)
Canvas (But this one is a close second)
Cyber Paint
Misty Extension (Most Excellent extension!)
Stos Fix
Ice Packer V2.4
Devpac 2
Welcome to a 2 level demo of Bio Hazard , a game which
can best be described as D*N*G*O* M*S*ER in space .This
demo contains two complete levels with loads of aliens to
destroy and objects to interact with.The aim is to find the
ladder leading downwards to the next level.
The screen is divided into 6 main zones.
| 1 | 6 |
| | |
| | |
| 2 | 3 | 4 | 5 |
1.Viewscreen in fist person perspective
/shows objects in backpack.
2.Shows the Object currently held in your left hand.
3.Shows the Object currently held in your right hand.
A blue triangle shows which hand is currently selected.Click on
the other hand to change the selected hand .Guns and objects
which require batteries have a small yellow line displayed here
showing current ammo/power levels.
4.Shows your health.
5.The map if activated.
6.Control panel.Click tiles with left mouse button.
Contol Panel Plan
Keyboard Shortcut
+--+ 01 Move forward [Up cursor key]
|01| 02 Turn Left [Left cursor key]
+--+--+--+ 03 Fire/Strike [Space bar]
|02|03|04| 04 Turn Right [Right cursor key]
+--+--+--+ 05 Open/close doors/dispensors [Return]
|05| 06 Pick up object [P]
+--+--+--+ 07 Drop object [D]
## Someone pasted quantum chemistry results at this point
-- begin --
Entry 1:
ORCA calculation (ωB97M-V with the def2-TZVPD basis set) on C23H35N3OReSi3 as an isolated structure at a distorted geometry.

XYZ file:
```
66
Properties=species:S:1:pos:R:3:forces:R:3
Re 0.55451 -0.03228 0.21029 -4.0320 -0.0030 -2.5199
Si -1.72724 -1.98467 -1.06538 0.2238 -0.5455 0.0531
Si -2.28155 1.06587 -1.68623 -0.3253 0.5457 -0.7101
Si -0.88877 -0.04069 2.36730 0.0718 -0.1429 0.4605
O 2.45158 -0.15741 -0.22020 -1.0213 -0.1986 0.4077
N 0.66636 -2.13652 0.30025 0.8887 -0.0039 0.2784
N 0.99594 2.02619 0.40017 0.3335 -1.0663 -0.0125
N 2.07221 3.91907 0.44663 0.0226 -0.2748 -0.0756
C 3.46808 1.99351 -0.15404 -0.0792 -0.7054 -0.0979
C -0.08896 -4.29254 -0.34098 0.0139 -0.0017 0.0651
C 5.88257 0.78278 -0.87466 -0.0363 0.1409 -0.0316
C -2.63089 2.76930 -0.95982 0.3292 -0.3674 0.1350
C 0.78359 4.19899 0.83213 -0.2596 -0.0776 0.0362
C -0.73389 -1.79121 3.07855 -0.0304 0.3514 -0.2170
C -3.28211 -2.51834 -0.17002 0.0941 0.2724 -0.1162
C -2.72208 0.38723 2.23134 0.4072 -0.0180 -0.0775
C 2.20764 2.60358 0.20260 -0.0348 0.4976 0.0690
C -3.98035 0.34153 -2.04965 0.3283 -0.1724 0.1367
C -1.20055 -0.16810 -0.61323 3.4836 0.7807 1.9539
C 0.12465 3.02300 0.81636 -0.1048 0.2093 0.0628
C 1.02264 -4.88016 0.24616 0.0139 0.0720 0.0333
C 4.65186 2.73939 -0.24102 -0.0361 0.1085 -0.0264
C -1.17009 1.20859 -3.21227 -0.3024 -0.0687 0.2133
C 1.74679 -2.70109 0.87759 0.1255 -0.2244 0.1133
C 3.52623 0.60550 -0.39193 1.0383 0.8025 -0.0935
C -0.02232 1.18385 3.52538 -0.2239 -0.2246 -0.1846
C 1.95959 -4.06216 0.86551 -0.1601 -0.0069 -0.0533
C -0.25428 -2.91926 -0.30300 -0.4591 0.1041 -0.2326
C -1.67767 -2.31455 -2.90821 -0.0932 0.3287 0.1855
C 5.84348 2.14700 -0.58535 0.0778 0.0068 -0.0115
C 4.73797 0.02379 -0.78789 -0.5261 -0.1977 0.1793
H -1.40655 -1.84666 3.93799 0.0102 -0.0108 0.0237
H -0.71123 -2.05458 -3.34273 0.0343 -0.0024 0.0799
H -0.41791 2.19427 3.41796 0.0226 -0.0116 0.0242
H -2.88717 2.75287 0.09964 -0.0520 0.0245 -0.0161
H -0.83922 -4.89741 -0.83403 0.0210 -0.0348 0.0135
H 2.84630 -4.46894 1.32931 -0.0186 0.0066 0.0465
H -4.63932 0.40410 -1.18140 0.0363 0.0178 0.0318
H 2.45542 -2.04715 1.36605 -0.0257 0.0854 -0.0895
H -0.89447 2.80342 1.07031 -0.0090 0.0367 -0.0187
H 6.74733 2.73740 -0.63245 -0.0191 0.0162 -0.0154
H -4.12907 -1.86289 -0.37661 0.0349 -0.0362 0.0038
H -3.17125 0.25963 3.21921 -0.0243 0.0075 0.0028
H -3.49744 3.17191 -1.48856 -0.0174 -0.0970 -0.0765
H -2.89702 1.41926 1.92607 0.0140 0.0301 0.0083
H 6.81379 0.31905 -1.16977 0.0002 -0.0085 0.0143
H 1.06081 1.22536 3.40152 -0.0009 -0.0522 -0.0269
H -3.98023 -0.68873 -2.40408 -0.0701 0.0538 -0.0212
H -2.44398 -1.76158 -3.45099 0.0056 -0.0550 -0.0158
H 2.80162 4.60329 0.33308 0.0510 -0.0058 0.0510
H -1.80281 3.45770 -1.11899 0.0356 0.0228 0.0462
H -4.43512 0.94923 -2.83579 0.0744 0.0625 -0.0174
H -3.24556 -0.26584 1.53080 0.0095 -0.0092 0.0403
H 0.45887 5.19287 1.08510 -0.0024 -0.0117 -0.0100
H -1.52635 0.57344 -4.02468 0.0307 -0.0148 0.0102
H -1.18427 2.23957 -3.57143 -0.0300 0.0048 0.0038
-- stop --
|06|07|08| 08 Load weapon [L]
+--+--+--+ 09 move up a level/go in teleporter [del]
|09|10|11| 10 move down a level/go in teleporter [#]
+--+--+--+ 11 Switch between backpack/view screen.
Other keyboard short cuts
[insert ] select left hand.
[clr home] select right hand.
[Q] quit
Once you hands are full objects picked up will go into your
backpack.Loading a weapon will take the first suitable magazine
from your back pack and insert it into the currently selected
weapon.You will have to discover for yourself which magazines fit in
which guns ! Note don't fire the heavy weapons at point blank range ,
or you will die in the explosion, and don't be in the vicinity when
the mines go off.
Some doors cannot be opened unless you are holding a specific key card
and it is selected.
Some doors cannot be opened until certain pressure sensors in the
floor are activated.
To select an object from you back pack click on button (11), you
should now see all the objects carried in your backpack.Now click on
the object in your backpack that you wish to swap and then the
hand into which it is to be moved .Now click on button (11) to return
to the view screen.
Dispensors are the brown panels on some of the walls and contain
useful objects.Note that you cannot turn away from them until they are
Note some objects need batterys loaded into them before they work.
Note guns can jam! (They can't be unjammed in this demo , sorry!)
List of currently avaliable objects in demo
Pistol ammunition.
Machine gun.
Machine gun ammunition.
Rocket Launcher.
Hand Grenade.
Key cards.
Motion detector.
Most of the above should be self explanatory especially if you have
played D*N*GE*N MAS*ER.Notice however that objects and the enviroment
are interacted with by using the control panel and not by clicking on
the view screen.
Features in the final game include!
More levels , all with different graphics!
More impressive weaponry including :-
Mine Mk II
Hand Grenade Mk II
Lazer Rifles!
Interesting new equipment including :-
Health Restorer!
Computer discs!
Giger counter!
Extra features
Numerous characters!
Bio Hazard has been in development for well over a year and it
would be nice to make a small return on the time I have invested
init ! At a time when games on the ST are becomming scarcer doesn't
it make sense to support shareware ! If you have enjoyed
thistaster of Bio Hazard then you can register for the non too huge
sum of 5.00 pounds if you live in Europe or 7.00 pounds for the
rest of the world.At the current exchange rate that is 11 US dollars
.For this small amount you will receive the whole game with all the
features above + many more.Note the complete game will not be
shipped until July 15th 1993 .This will give me the chance to add
changes people want once they have seen this taster and will
give me time to revise for my university exams!So please contact me
if you have have any ideas/critisims/bugs etc.
Mr L.J.Greenhalgh,
24 Park Avenue,
Rudloe Manor,
Any similarity between the graphics and certain well known xenomorphs
is purely coincidental!
Registration Form
Please accept my registration for Bio Hazard.
Payment by Cash/Cheque (Delete as aplicable.)